Penn State professor part of project evaluating wine quality in eastern U.S.


UNIVERSITY PARK, Pa. — Robert Crassweller, professor of horticulture in Penn State’s College of Agricultural Sciences, is part of a $3.8 million, multiuniversity research project to evaluate the wine quality of grapes, with an eye toward improving grape and wine sustainability and economic vitality in the eastern U.S

Crassweller will help to evaluate the horticultural characteristics and adaptability of grape varieties grown at Penn State’s Fruit Research and Extension Center in Biglerville and Lake Erie Regional Grape Research and Extension Center in North East for production in Pennsylvania.

He also will work with the Penn State Extension enologist to evaluate wines made from the grapes.


The plantings at the two research stations were made possible by an ongoing grant from the Pennsylvania Wine Marketing and Research Board from a grower-levied tax on Pennsylvania wines.

Crassweller’s work is part of a specialty crops grant awarded by the USDA’s National Institute of Food and Agriculture to researchers at Virginia Tech. Other partners in the project are North Carolina State University, University of Maryland, Ohio State University, Cornell University and the Connecticut Agricultural Experiment Station.


The five-year project is aimed at creating, refining and encouraging industry adoption of grape and wine production practices that integrate research-based recommendations with key market drivers to achieve a robust and sustainable grape and wine industry in the region.

**The page is interrupted by data records**
-- begin --
{"formula": "C35H49AsBrF10N7O2PrSi3", "method": "ωB97M-V/def2-TZVPD", "symbols": ["N", "H", "H", "N", "C", "H", "H", "H", "C", "H", "F", "F", "C", "C", "H", "C", "C", "H", "H", "C", "H", "H", "F", "H", "C", "C", "H", "H", "C", "F", "C", "H", "Si", "C", "C", "C", "H", "C", "C", "H", "Si", "C", "C", "C", "F", "H", "F", "H", "H", "Pr", "F", "C", "H", "C", "N", "H", "Br", "As", "H", "H", "H", "H", "Si", "C", "H", "O", "H", "H", "C", "H", "H", "H", "O", "N", "N", "C", "H", "N", "C", "C", "H", "C", "C", "C", "C", "H", "C", "H", "C", "C", "H", "H", "H", "F", "C", "H", "C", "H", "H", "H", "H", "N", "H", "F", "F", "H", "H", "H", "H"], "coordinates": [[1.13, 3.87, -1.15], [2.01, -4.27, 0.77], [-2.53, 4.11, 0.43], [0.16, 3.15, 1.40], [-3.57, -4.25, 0.31], [-0.63, -6.67, 0.94], [-4.68, -1.96, 4.55], [3.40, -3.64, 1.77], [0.32, -0.12, -4.39], [-3.65, -3.94, -0.73], [2.91, 6.89, -4.59], [3.16, 5.75, -2.05], [0.27, 4.01, -3.35], [-2.86, 1.62, -1.19], [-1.41, -4.67, -1.61], [-1.67, -6.34, 1.17], [-1.26, 3.02, 1.88], [2.15, -2.58, 0.99], [-2.59, -0.94, 5.84], [-3.64, 2.49, -2.01], [8.54, 2.79, 0.20], [-1.88, -6.57, 2.25], [-5.49, 0.12, -4.04], [-0.41, -2.72, -2.98], [1.88, -2.37, 4.33], [2.20, 5.33, -2.94], [5.77, 0.81, -0.83], [-3.64, -5.02, 4.37], [1.42, 4.75, -0.01], [0.90, 6.14, -6.16], [-3.77, -0.28, -2.46], [0.86, -5.03, 4.81], [-1.80, -4.49, 0.73], [-0.80, -4.28, -0.79], [0.47, -2.12, -3.28], [-4.14, -2.23, 3.67], [2.08, 2.60, 2.08], [4.33, 2.10, 0.18], [-4.70, 0.57, -3.08], [-1.28, 2.08, 2.42], [-2.49, -2.78, 4.14], [0.44, 4.59, 1.18], [-1.86, -1.73, 5.57], [-4.66, 1.99, -2.85], [-2.03, -0.62, -0.91], [0.12, -4.91, -0.79], [-0.87, 4.18, -5.54], [7.07, 4.49, 1.21], [-3.99, -3.42, 0.89], [0.28, 1.73, -0.94], [-3.85, -1.66, -2.59], [6.62, 2.62, 0.12], [-2.35, -6.86, 0.53], [-2.65, -4.61, 4.61], [0.28, -1.45, -4.56], [1.01, 3.19, 3.37], [3.05, 0.75, -0.18], [-0.94, -2.78, 2.27], [-0.47, 5.09, 0.98], [-0.47, -3.27, -1.04], [-2.55, -4.73, 5.73], [0.60, -1.55, -6.64], [1.21, -3.56, 3.00], [0.56, -0.87, -2.36], [1.38, -2.60, 5.27], [7.88, 2.24, -0.28], [0.86, 4.93, 2.12], [1.45, 5.84, -0.30], [1.22, 4.39, -2.39], [0.86, 1.55, 2.67], [-0.06, 1.70, -4.98], [-4.77, -2.88, 3.05], [0.67, -0.85, -1.09], [0.46, 0.27, -3.09], [0.35, 0.82, -5.35], [1.21, -5.30, 3.82], [0.54, -6.02, 3.41], [4.02, 3.20, 0.81], [0.13, 4.50, -4.64], [5.62, 1.70, -0.20], [2.40, 4.51, 0.44], [1.05, 2.62, 2.45], [-2.93, 0.24, -1.48], [6.34, 3.74, 0.87], [1.00, 5.53, -4.99], [-0.06, 0.71, -6.27], [2.31, -3.53, 1.49], [-0.89, -1.31, 5.30], [0.05, -2.08, -5.86], [2.09, 5.88, -4.19], [4.72, 4.90, 1.71], [-1.54, 3.75, 2.69], [1.36, -2.80, -3.25], [-3.37, 3.81, -1.94], [5.04, 3.99, 1.21], [2.88, -2.80, 4.43], [-2.35, 3.10, 0.80], [-4.15, -5.16, 0.51], [0.41, -3.10, -5.84], [-3.21, 2.79, 1.32], [-1.00, -2.06, -6.06], [-1.98, 2.15, -0.27], [-1.88, -5.23, 4.21], [-0.70, 2.99, -2.95], [-5.52, 2.81, -3.41], [-4.07, -1.35, 3.06], [2.00, -1.29, 4.14], [2.24, -5.58, 3.90], [-1.72, -2.28, 6.48]], "s2": 2.002, "de_lowest_kcal_mol": 0.0, "charge": 1, "homo_lumo_gap_ev": [7.0, 7.0], "max_force_ev_per_a": 3.20, "mol_weight_g_mol": 1169.80, "homo_ev": [-9.35, -9.35], "multiplicity": 3}
-- stop --

To increase wine sales in the eastern U.S., wine grapes and wines must be of consistently high quality and they must be produced on a cost-competitive basis.

The underlying research addresses unique challenges of quality grape and wine production in the East, including unpredictable rain during the growing season, frost and winter injury problems, unique grape varieties and the high costs of grape production that result from the relatively small scale of most Eastern vineyards.

The research also explores consumer buying preferences and perceptions about regional wines relative to other domestic and foreign brands.


Pennsylvania’s climatic differences, topography and diverse soils present unique challenges for all varieties. But Pennsylvania currently ranks fifth nationally in wine-grape production.

The state has more than 170 bonded wineries producing more than a million gallons of wine each year, with help from independent commercial vineyards that supply their grapes. Interest within the state in growing grapes and making wine is on the rise, with more than 60 new wineries in the last 10 years.

Penn State faculty in horticulture, plant pathology, entomology and crop and soil sciences collaborate with field-based extension educators to form a network in support of grape propagation.


Pennsylvania’s wine industry has experienced significant growth in the last 30 years. A 2009 study commissioned by the Pennsylvania Wine Marketing and Research Board found that the industry yields an annual economic impact of about $870 million.

For more information, contact Crassweller at 814-863-6163 or, or Gary Abdullah at 814-863-2708 or